
Jujutsu Kaisen: One Century Later

After the defeat of Sukuna and the sealing of Tengen the modern world is now exposed to cursed energy and jujutsu. 100 years later most humans can now use cursed techniques which causes nuclear weapons and guns to be replaced by jujutsu sorcery. 15-year-old Saigo Akumu is living out his senior high school life until a mysterious man with surgery stitching across his forehead visits his school.

Redist_King · Anime e quadrinhos
Classificações insuficientes
85 Chs


Several years earlier

The beautiful white-haired woman once again walked down the iron maze of the facility. As she came upon the heavily protected elevator she once again used it to reach her destination. However unlike before she traveled up the facility instead of down. When the doors opened once again, she was met with a room the very opposite of her own.

The floor and walls were made out of a black marble-like material that was tinted in accents of gold and silver, while the decoration largely consisted of expensive wine bottles, spirits, and gin. 

In the center sat a large luxury desk that was too big for one person to use, yet this man sat there all by himself. He was looking out the window not even noticing the presence of the woman who stood behind him, at least until she called out,

"President Gerald?"

The man then turned his chair around, despite his foreign-sounding name this man was half-Japanese. He was showing signs of old age, his hair was clearly agreeing from its original brown color, and his skin was covered in wrinkles. But the most defining trait about him was the surgery stitching scar that spread out across his forehead. The Old man then spoke,

"Is there anything you want Madame Saigo?"

"A co-worker of mine was starting to have doubts about the Projects purpose. I just gave him a half-assed answer and then sent him away, but now I'm starting to lose faith as well."

The old man thought about it for a moment. Then he asked,

"How is your son doing? I heard he is turning 8 this year."

[Madame Saigo] Can you not avoid my question, President Gerald?

The old man realizing that he couldn't change the topic hesitated. He turns his chair around and watches the outside view of the world before asking her,

"Do you believe in God?"

The woman without hesitation says,

"I am not very religious."

Once again the Old man asks,

"Then what do you think about Tengen?"

Pausing for a moment Madame Saigo then responds with the answer,

"It may be powerful, but at the end of the day, it's just another curse created from human emotions. A simple by-product from our time as a lesser species."

From that answer, the president began to laugh hysterically. Despite the man's name, he was in fact half-Japanese. Madame Saigo was confused by the response but the old man began to tell her,

"What if I told you that Tengen was a human just like us? Once upon a time, she was just another weak jujutsu sorcerer yet somehow she had evolved past our limitations and reached that state of being."

Madame Saigo then asked, "What does that have to do with the purpose of the project?"

He then made the most outrageous statements that would rightfully anger many groups of people in the world, "Would it then mean it would be possible for humans to reach that state? An ageless ultimate being? A God? Now that we have that technique nullifying fragment it may be possible to even dissect its flesh. As a scientist doesn't it peak your interest?

- - -
1.
## NdP2H3O6 (PBE)

Data for crystalline NdP2H3O6 at its relaxed geometry. Values from VASP.

Computed properties:
Formation energy from the elements   -2.35 eV/atom
SG   P2_1/c (14)

```
&SYSTEM
  ibrav = 0, nat = 48, ntyp = 4
/
ATOMIC_SPECIES
Nd 144.24 Nd.upf
P 30.97 P.upf
H 1.01 H.upf
O 16.00 O.upf
ATOMIC_POSITIONS angstrom
Nd 2.090 0.306 0.004
Nd 0.239 4.386 4.093
Nd 4.499 4.998 4.084
Nd 2.649 9.078 8.172
P -0.691 1.054 2.514
P -2.542 3.638 6.602
P 3.483 6.805 0.811
P 1.633 7.271 4.899
P 3.106 2.113 3.278
P 1.255 2.579 7.366
P 7.281 5.745 1.574
P 5.430 8.330 5.662
H -0.348 0.160 3.545
H -2.198 4.532 7.633
H 1.240 6.504 1.251
H -0.611 7.572 5.339
H -0.016 5.999 7.851
H 1.834 8.077 3.763
H 2.904 1.307 4.414
H 4.755 3.385 0.325
H 5.350 1.812 2.838
H 3.499 2.880 6.926
H 6.937 4.852 0.543
H 5.086 9.224 4.631
O -0.022 0.543 1.218
O -1.873 4.149 5.306
O -2.147 2.250 7.060
O -0.296 2.442 2.972
O 0.370 5.590 1.845
O -1.481 8.486 5.933
O 0.089 6.876 4.905
O 1.940 7.200 0.817
O 2.695 1.323 2.063
O 0.845 3.369 6.151
O 0.610 1.218 7.633
O 2.460 3.474 3.545
O 2.278 5.910 4.631
O 4.129 8.166 0.543
O 3.894 6.015 2.026
O 2.043 8.061 6.114
O 2.799 2.184 7.359
O 4.649 2.508 3.271
O 6.220 0.898 2.243
O 4.369 3.794 6.331
O 5.035 6.942 5.205
O 6.886 7.134 1.117
O 6.611 5.235 2.870
O 4.761 8.841 6.958
CELL_PARAMETERS angstrom
8.440 0.000 0.000
0.000 9.384 0.000
-3.701 0.000 8.176
```

2.
## LiZr2Ir (PBE)

Data for crystalline LiZr2Ir at its relaxed geometry. Values from VASP.

Computed properties:
Formation energy from the elements   -0.47 eV/atom
SG   Fm-3m (225)

```
&SYSTEM
  ibrav = 0, nat = 4, ntyp = 3
/
ATOMIC_SPECIES
Li 6.94 Li.upf
Zr 91.22 Zr.upf
Ir 192.22 Ir.upf
ATOMIC_POSITIONS angstrom
Li 0.000 0.000 0.000
Zr 1.654 1.654 1.654
Zr 4.963 4.963 4.963
Ir 3.309 3.309 3.309
CELL_PARAMETERS angstrom
0.000 3.309 3.309
3.309 0.000 3.309
3.309 3.309 0.000
```

3.
## PRu (PBE)

Data for crystalline PRu at its relaxed geometry. Values from VASP.

Computed properties:
Formation energy from the elements   -0.56 eV/atom
SG   Pnma (62)

```
&SYSTEM
  ibrav = 0, nat = 8, ntyp = 2
/
ATOMIC_SPECIES
P 30.97 P.upf
Ru 101.07 Ru.upf
ATOMIC_POSITIONS angstrom
P 1.056 0.795 0.401
P 1.722 2.384 3.499
P 3.835 0.795 2.697
P 4.501 2.384 5.795
Ru 0.053 2.384 1.816
Ru 2.726 0.795 4.913
Ru 2.831 2.384 1.282
Ru 5.505 0.795 4.380
CELL_PARAMETERS angstrom
5.557 0.000 0.000
0.000 3.179 0.000
0.000 0.000 6.196
```

4.
## Tm3GaC (PBE)

Data for crystalline Tm3GaC at its relaxed geometry. Values from VASP.

Computed properties:
Formation energy from the elements   1.19 eV/atom
Spin magnetization   0.0 Bohr magnetons per cell
SG   Pm-3m (221)

```
&SYSTEM
  ibrav = 0, nat = 5, ntyp = 3
/
ATOMIC_SPECIES
Tm 168.93 Tm.upf
Ga 69.72 Ga.upf
C 12.01 C.upf
ATOMIC_POSITIONS angstrom
Tm 0.000 0.000 2.613
Tm 0.000 2.613 0.000
Tm 2.613 0.000 0.000
Ga 0.000 0.000 0.000
C 2.613 2.613 2.613
CELL_PARAMETERS angstrom
5.225 0.000 0.000
0.000 5.225 0.000
0.000 0.000 5.225
```

5.
## BPPbO5 (PBE)
- - -

She thought about it for a long while before asking, "Why are you only telling me this? and only now of all times?

[Gerald] Madame Saigo, you are a very important woman in all this. I need you for this project to be completed. I couldn't tell you this before but you're too knee-deep in this now to back out. 

She was very confused by all this but now with some answers, she decided to just get back to work however before she could leave Gerald asked her one more thing,

"If you don't keep what I told you here a secret, don't expect your son to come out of this ordeal in one piece."

Back to the present day

Akumu had been teleported to the same stone platform the competitors before him had once stood on as well. In front of him was a long staircase that reached the heavens as well as the reverse castle that he needed to raid, with stone doors sealed shut.

The timer began to count down once again however the audience didn't follow suit. They just sat and watched carefully, they knew that if Japan was able to win this round they would have a small chance at taking back this whole game.

3..2..1.. FIGHT

The doors swung open as a burst of cursed spirits quickly swept down the stairs. Akumu however just kept waiting and waiting until the multitude of grade 3 and 2 curses almost reached him.

He closed his eyes and thought about everything that had come up to that point, the death of everyone at school, his fight against Senjuro, the battle against the demon king's cult, and lastly his great desire to destroy the Chinese team.

He claps both his hands while generating a great amount of cursed energy. As they unfolded a great black whip emerged from his hand. However this time the weapon he formed was not a mallet but a scythe.

With a single strike, It cleaved through the line of cursed spirits splitting open a path directly toward the castle. Without wasting another second he quickly dashed inside.

Not long after entering, he was greeted with another swarm of grade 3 and 2 cursed spirits. However, he instance lousy shouted,

Simple Domain: Black Palace.

All the cursed spirits that got caught inside were instantly detached from their lower half or at least divided in two in some shape or form. He quickly sprung past the corpses and approached the group of grade 1 cursed spirits that blocked the way to an even more colossal door. 

These cursed spirits were indeed powerful but compared to Akumu they were stupidly slow.

Akumus's scythe grew bigger and bigger until its length grew large enough to encompass the whole dungeon. As he swung his scythe it not only beheaded every grade 1 curse but also destroyed a small portion of the dungeon all at once.

He quickly approached the slowly opening colossal door revealing a tall pedestal with the special grade acrophobia curse resting atop it. Without wasting any time it launched a barrage of hand attacks to overwhelm Akumu.

Yet once again he instantly opened another simple domain slashing through anything that came even remotely close to him.

The Acrophobia Curse then began to open his domain the empty acro park to watch Akumu plummet to his death. And once again his technique fails on him as the crowd is shocked to see Akumu floating in mid-air.

Like the man before him, Akumu with his black whips creates a bow of cursed energy and charges a powerful shot to eliminate the special-grade curse in one hit. 

The acrophobia curse in defense quickly manifests a wall of hands that barely manages to defend against the black arrow. And not long following suit Akumu himself how followed up with his black scythe in tow.

He plunges its blade deep into the curse instantly tearing it apart.


The crowd shouted in excitement, the currently losing Japanese team had made an incredible comeback. But at what cost?

The crumbling Castle had eventually been restored to its original form and the next challenger had already risen to combat it.


Once he too was teleported to the upside-down castle the robotic voice asks how many spirits he would like to combat.

"I don't want to kill the mood that's been going so far, Give me all one hundred too!"

Her eyes were cheerful and innocent. It was as if she had no clue of the horrors that would spawn inside that castle. Yet without hesitation, she urged the robotic voice to hurry up and spawn the spirits.

As the the door suddenly opened the girl immediately pulled out what seemed to be a paper talisman with the Chinese writing for spirit on it. She called out,

Four Guardian God Summoning: White Tiger

As the paper talisman burns a bright blue flame it leaves behind an unusually sized giant white tiger that almost took up the whole width of the platform. 

Meiyangs' cursed technique was the four guardian god summons. It was a technique similar to the ten shadows of Japan, However instead of granting the user 10 shikigami it only gave 4. Furthermore, it used a paper talisman as a conduit for summoning instead of the users' shadow. The white tiger possesses the ability to control wind at will.

Within the second of its summoning, Meiyang sits atop the white tiger and travels toward the swarm of cursed spirits instantly tearing them apart. As it traveled blades of wind emitted from its body that not even the giant curses could withstand taking them from the beginning of the dungeon all the way to the end in a matter of seconds. 

Yukiko and Hikaru could only watch nervously as both of their skills were presented to them in a single fighter.

As she reached the acrophobia-cursed spirit, it quickly opened up its domain without wasting anyone's time. After experiencing death twice in one it for sure didn't want to experience a third.

Unfortunately for Meiyang, the white tiger did not possess the capabilities to attack the mask without getting closer. It was as she fell that the crowd shouted for her danger and yet she still retained that same sense of confidence in her face.

She pulled out another talisman instantly dispelling the white tiger and then called out,

Four Guardian God Summong: Red Pheonix

As the talisman burned a bright blue flame a bird made from an amber fire spawned under the falling girl. It soard towards the sky while emitting a dangerous heat that engulfed the girl,

Extension Technique: Burning piercer

The flaming spear that shot toward the sky burned the Acrophobia Cursed spirit to Cinders eventually burning away its remains as well. Frosty Whipp then shouted over the mic,


The crowd went crazy from the thought, three 1st placers in one day???

But now rose the true question, how would the cursed tool reward be split.